This project is an Andoid POS application integrated with a cloud based back for reporting, POS data management and control. The POS is a mature application having been installed in retail and quick serve environments in the USA and Denmark.
- Instant loyalty, print customer loyalty token on request (no customer data required), scan token on subsequent visits to accumulate loyalty points/awards
- add USE_CAMERA to BuildConfig (app/build.gradle) so initial android permission request is optional
- add POS based add/edit of items and customers
**The piece is interrupted by molecular data:**
'''
Entry 1:
DFT (ωB97M-V/def2-TZVPD) results for 2 unconnected molecules or ions with the total composition C3H8N3O.

Cartesian coordinates (Å):
C -0.705 -1.963 -0.772
C 0.847 -1.279 0.595
C -0.228 2.217 0.572
N 0.214 -2.343 -0.006
N -0.735 -0.523 -0.945
N 0.214 -0.051 -0.027
O -0.197 0.854 0.924
H -1.459 -2.430 -1.341
H 0.633 -1.353 1.579
H 1.850 -1.406 0.431
H -0.956 2.374 -0.102
H 0.636 2.391 0.021
H -0.295 2.816 1.625
H -1.030 -0.093 -1.827
H 1.211 0.791 -0.728

Summary:
E_HOMO (eV): -14.694
Net charge: +1
LUMO (eV): -5.3
Largest force on an atom (eV/Å): 7.1

Results of the natural (NBO) charge analysis, in e, for atoms 1 through 8: number 1, C, carries 0.271; number 2, C, carries -0.085; number 3, C, carries -0.250; number 4, N, carries -0.373; number 5, N, carries -0.483; number 6, N, carries 0.064; number 7, O, carries -0.328; number 8, H, carries 0.233


Entry 2:
DFT (ωB97M-V/def2-TZVPD) results for a gas-phase ion, C3H8N3O (charge +1).

Cartesian coordinates (Å):
H -2.511 -2.310 -0.014
N -1.581 -1.886 -0.171
N -1.681 -0.704 0.098
C -0.210 -0.088 -0.100
N 0.757 -0.960 0.044
C 2.180 -0.593 0.047
O 0.036 1.150 0.021
C -1.119 2.006 -0.037
H 0.651 -1.920 0.050
H 2.096 0.405 -0.171
H 2.825 -0.937 -0.790
H 2.709 -0.858 1.102
H -2.125 1.584 0.118
H -0.935 2.468 -0.922
H -1.092 2.643 0.725

Summary:
E_HOMO (eV): -15.035
Net charge: +1
LUMO (eV): -5.2
Largest force on an atom (eV/Å): 4.3

Results of the natural (NBO) charge analysis, in e, for atoms 1 through 8: number 1, H, carries 0.374; number 2, N, carries -0.251; number 3, N, carries -0.105; number 4, C, carries 0.754; number 5, N, carries -0.493; number 6, C, carries -0.442; number 7, O, carries -0.401; number 8, C, carries -0.259


Entry 3:
DFT (ωB97M-V/def2-TZVPD) results for 2 unconnected molecules or ions with the total composition C3H8N3O.

Cartesian coordinates (Å):
C 0.533 -1.482 -1.458
C -0.033 1.863 1.376
C 0.843 -2.421 -2.449
N 0.207 -0.744 -0.657
N -0.211 0.605 1.515
N -0.698 2.738 2.099
O -1.113 0.136 2.497
H 0.816 1.945 0.643
H 1.812 -2.256 -2.980
H 0.066 -2.755 -3.211
H 1.243 -3.255 -1.795
H 0.149 -0.063 0.786
H -0.488 3.746 2.149
H -0.843 -0.632 2.850
H -1.377 2.341 2.832

Summary:
E_HOMO (eV): -14.541
Net charge: +1
LUMO (eV): -2.8
Largest force on an atom (eV/Å): 6.7

Results of the natural (NBO) charge analysis, in e, for atoms 1 through 8: number 1, C, carries 0.452; number 2, C, carries 0.332; number 3, C, carries -0.778; number 4, N, carries -0.458; number 5, N, carries -0.240; number 6, N, carries -0.751; number 7, O, carries -0.533; number 8, H, carries 0.260


Entry 4:
DFT (ωB97M-V/def2-TZVPD) results for a gas-phase ion, C3H8N3O (charge +1).

Cartesian coordinates (Å):
C -2.535 0.495 -0.055
C -1.749 -0.740 0.056
N -0.461 -0.803 0.120
N 0.362 0.263 0.117
C 1.641 0.052 0.022
N 2.464 1.097 0.033
O 2.127 -1.182 -0.106
H -2.702 0.714 -1.113
H -3.509 0.378 0.412
H -1.990 1.337 0.368
H -2.267 -1.690 0.075
H -0.012 -1.726 0.183
H 2.079 2.023 0.124
H 3.463 0.993 -0.041
'''
New sale discount and item markdown functionality
Update handheld configurations with built in android cammera scanner
Swipe left on ticket dislay to suspend a ticket, added Tabs control to display/select suspended tickets
Youtube POS Registration
## Calculated molecules, kept here for reference
********
[1]
ORCA calculation (ωB97M-V with the def2-TZVPD basis set) on a structure of composition C34H68Cl8NiO14.

```
125
Properties=species:S:1:pos:R:3:lowdin_spin:R:1
Ni -1.522 -0.901 1.805 1.761
Cl -2.374 0.874 2.654 0.074
Cl 0.370 -0.081 0.644 0.056
O -3.153 -2.024 2.524 0.021
C -4.152 -2.694 2.473 0.003
O -5.349 -2.160 2.590 0.000
C -5.480 -0.715 2.599 0.000
C -6.901 -0.283 2.349 0.000
C -4.074 -4.155 2.248 0.000
H -4.801 -0.267 1.900 0.000
H -5.110 -0.358 3.610 0.000
H -7.008 0.747 2.660 0.000
H -7.619 -0.866 2.976 0.000
H -7.232 -0.356 1.301 0.000
H -3.022 -4.471 2.223 0.000
H -4.491 -4.370 1.240 0.000
H -4.687 -4.672 3.003 0.000
O 1.413 0.993 -6.267 0.000
C 0.387 0.689 -5.616 0.000
O 0.408 -0.021 -4.472 0.000
C 1.622 -0.506 -3.919 0.000
C 2.447 -1.588 -4.644 0.000
C -1.023 1.040 -5.903 0.000
H 1.317 -0.833 -2.909 0.000
H 2.213 0.412 -3.655 0.000
H 3.211 -1.940 -3.969 0.000
H 2.934 -1.191 -5.523 0.000
H 1.788 -2.452 -4.870 0.000
H -1.582 0.122 -5.732 0.000
H -1.071 1.410 -6.927 0.000
H -1.425 1.875 -5.313 0.000
O 3.142 -1.930 2.991 0.000
C 4.320 -2.158 2.836 0.000
O 5.277 -1.744 3.625 0.000
C 4.950 -0.767 4.654 0.000
C 4.909 0.699 4.103 0.000
C 4.932 -3.054 1.788 0.000
H 5.874 -0.892 5.236 0.000
H 4.028 -1.122 5.146 0.000
H 4.073 0.869 3.484 0.000
H 5.821 0.992 3.632 0.000
H 4.812 1.384 4.991 0.000
H 4.417 -4.011 1.712 0.000
H 5.975 -3.197 1.987 0.000
H 4.895 -2.709 0.761 0.000
O -1.118 -2.916 0.810 0.014
C -0.934 -3.921 0.156 0.001
O 0.238 -4.545 0.131 0.000
C 1.392 -3.746 0.434 0.000
C 2.009 -3.289 -0.889 0.000
C -2.041 -4.636 -0.634 0.000
H 2.073 -4.284 1.043 0.000
H 1.066 -2.882 1.079 0.000
H 3.018 -2.890 -0.844 0.000
H 1.398 -2.635 -1.472 0.000
H 2.115 -4.211 -1.496 0.000
H -2.299 -5.606 -0.211 0.000
H -1.547 -5.006 -1.539 0.000
H -2.929 -3.984 -0.801 0.000
O -4.237 4.152 -3.723 0.000
C -3.270 4.487 -4.379 0.000
O -2.014 4.230 -4.063 0.000
C -1.826 3.416 -2.828 0.000
C -0.336 3.155 -2.563 0.000
C -3.399 5.202 -5.638 0.000
H -2.411 2.535 -2.975 0.000
H -2.215 3.927 -1.967 0.000
H -0.410 2.414 -1.799 0.000
H 0.135 4.090 -2.221 0.000
H 0.222 2.777 -3.394 0.000
H -4.417 5.229 -6.002 0.000
H -2.827 4.605 -6.374 0.000
H -3.003 6.225 -5.651 0.000
O -0.383 -1.642 3.296 0.034
C 0.198 -1.195 4.268 0.004
O 0.595 -1.909 5.292 0.003
C 0.503 -3.357 5.187 0.000
C 1.835 -4.006 4.771 0.000
C 0.601 0.251 4.325 0.000
H -0.317 -3.566 4.491 0.000
H 0.222 -3.673 6.181 0.000
H 1.862 -5.005 5.188 0.000
H 2.645 -3.343 5.015 0.000
H 1.879 -4.131 3.675 0.000
H 0.990 0.463 5.300 0.000
H -0.267 0.803 4.034 0.000
H 1.355 0.473 3.527 0.000
O -2.908 -0.899 -0.142 0.013
C -2.464 -0.390 -1.165 0.005
O -2.818 0.800 -1.569 0.003
C -3.791 1.492 -0.764 0.000
C -5.213 0.971 -0.898 0.000
C -1.615 -1.104 -2.139 0.000
H -3.846 2.452 -1.189 0.000
H -3.440 1.529 0.275 0.000
H -5.383 0.044 -0.330 0.000
H -5.429 0.873 -1.929 0.000
H -5.866 1.822 -0.587 0.000
H -1.004 -1.926 -1.813 0.000
H -1.079 -0.355 -2.681 0.000
H -2.395 -1.511 -2.817 0.000
Cl 4.293 2.520 1.156 0.000
********
Youtube POS demo
Youtube dark/light themes
Some compiled APKs
- Cash, credit, debit, EBT foodstams, gift card, check, split
- Void item, void sale
- Discounts, %, fixed amount, mix and match (buy 2, get one free)
- Item markdown by % or fixed
- Non-tax, tax sales
- Manager functions, X/Z
- End-of-shift cash drawer count
- Suspend/recall transaction
- Open tabs
- Open item (enter price)
- Paid IN/OUT
- Cash drop
- Float
- Item inventory
- Multi site (store) support
- Customize receipt, header and footer
- No sale/open drawer
- Price check
- Price override
- Manager override
- Enter quantity
- Linked items (deposits, packages)
- Repeat last order
- Sale discount percent (i.e. employee disount)
- Split single transaction into multiple transactions
- Return sale
- Comp sale
- Kitchen print
- Dark/Light themes (new)
- Standard pricing, scanned, enter sku or tied to a button
- Size, i.e. Fountain drinks, small, medium, large
- Metric, pound, liter, kg
- StarMicronics receipt printers
- Citizen printers
- Zebra BT scanner
- USB Scanner
- Embedded Android camera scanner (QR Code, Barcode)
- Cash Drawer
- Second Android customer display
- ELO 13, 15 inch PayPoint
Data records, kept here for reference:
<<<
No. 1
10
Properties=species:S:1:pos:R:3:forces:R:3 method="wB97M-V/def2-TZVPD" relative_energy_kcal_mol=52.6 e_lumo_ev=-0.037 smiles="O=Cn1nccn1"
O 2.2371 -0.3791 1.6784 -0.89 -1.51 -0.02
N 0.6073 -0.0862 0.2173 -3.33 -1.37 -3.65
N 0.0632 1.0980 0.4359 2.73 1.19 3.85
N -0.0964 -0.7708 -0.7449 -1.56 0.85 -0.03
C 1.4362 -0.9153 0.9419 3.67 0.25 0.96
C -1.1138 0.0478 -1.0320 2.96 -0.70 1.29
C -0.9761 1.2227 -0.2753 -3.16 0.56 -0.79
H -1.7969 2.0097 -0.1225 1.97 -0.92 -0.39
H -1.8367 -0.1643 -1.7134 -1.74 -0.86 -1.86
H 1.4762 -2.0624 0.6145 -0.64 2.50 0.64

No. 2
33
Properties=species:S:1:pos:R:3:forces:R:3 method="wB97M-V/def2-TZVPD" relative_energy_kcal_mol=71.1 e_lumo_ev=3.508 charge=-2
Cl 3.1445 -4.2746 1.4834 1.22 1.35 0.14
Cl 0.7413 -3.4949 0.2067 0.23 1.40 -0.45
P -1.8834 -2.0838 2.5073 -4.46 0.12 3.28
O -3.3298 4.5454 -2.3780 -0.22 -0.32 0.64
O -3.2525 2.3977 -0.5369 0.42 -0.21 -0.36
O 1.5977 0.5765 1.0337 -3.88 -2.12 0.55
O -3.0405 -1.6455 3.5323 3.45 -1.37 -2.88
O -0.3150 0.2876 -3.5075 0.40 0.20 -0.50
O -0.4095 -0.7900 0.3389 2.37 -0.04 4.57
O -0.6831 0.7044 2.3561 2.15 -2.86 -2.92
O -0.1348 2.5697 -5.1702 -0.31 0.11 0.36
C -1.7474 1.3769 -2.0263 2.10 -1.87 -1.35
C 1.9367 -2.0677 0.2047 0.71 0.20 -0.72
C -0.9283 1.3321 -3.2666 -1.08 -0.68 2.10
C -0.8946 2.5741 -4.1532 1.56 -1.57 -1.06
C 3.1714 -2.4014 1.2283 -0.29 0.06 0.08
C -2.5536 2.3625 -1.5959 -1.66 1.73 1.14
C -1.7112 3.5549 -3.7296 -1.90 1.70 1.48
C -2.6014 3.5609 -2.5388 1.03 0.89 -2.19
C 3.0349 -1.7517 2.7264 1.64 -0.18 0.26
B 1.0721 -0.7175 0.5595 -1.60 1.88 -0.54
B -0.9498 -0.6049 1.7299 1.76 3.37 -2.47
B 0.4255 1.3335 1.5958 -0.24 -0.89 -0.17
H -1.6563 0.4777 -1.4273 -0.10 -0.13 0.00
H -1.7613 4.4744 -4.3013 -0.03 0.08 -0.10
H 3.7597 -2.3809 3.4348 -1.59 1.34 -1.58
H 3.4787 -0.6456 2.7238 -1.38 -2.33 -0.07
H 2.3203 -1.9486 -0.9169 -0.75 -0.46 2.43
H -0.9407 -2.9969 3.1683 -0.37 0.70 -0.88
H -2.4163 -2.8647 1.3821 0.80 0.58 0.81
H 0.3585 2.5192 1.4373 0.31 -0.44 0.25
H 1.9719 -1.8253 3.2091 1.89 0.25 -1.27
H 4.1963 -2.1533 0.6901 -2.21 -0.49 1.42

No. 3
58
Properties=species:S:1:pos:R:3:forces:R:3 method="wB97M-V/def2-TZVPD" relative_energy_kcal_mol=22.5 e_lumo_ev="-4.535 / -5.584" charge=+1 spin_multiplicity=5 s_squared=6.0924
Te -2.0301 -1.7961 -2.8463 -0.43 -0.15 -0.06
Pd -0.3776 0.0911 -1.9785 0.14 0.50 0.64
Se 1.8105 1.2351 -2.7103 0.33 0.06 -0.24
Se 1.2377 -0.6741 -3.6403 0.10 0.04 -0.05
Se -3.0186 -0.8108 -4.7398 0.08 -0.06 -0.04
O -1.2879 -1.7173 -0.2889 -0.06 0.09 -0.04
N 3.0488 -0.7872 0.7971 -0.04 0.09 -0.14
N 1.6496 -2.0927 -0.5558 -0.14 -0.02 -0.12
N 1.0529 0.0618 -0.1373 0.07 0.19 -0.18
N -1.3852 1.9167 -3.0477 0.12 -0.08 -0.03
N -1.9366 0.3194 0.6462 0.27 -0.08 -0.57
N -1.7050 0.9114 -0.5666 -0.18 -0.35 0.41
C -1.4529 -2.9606 2.1719 -0.02 -0.07 0.04
C -1.6525 -0.9792 0.6761 -0.01 -0.13 0.34
C 2.3998 -3.3049 -0.2512 -0.11 0.04 0.03
C -2.3044 -1.5119 4.3780 0.00 0.02 -0.03
C -1.5296 3.6945 -4.6274 0.00 -0.03 0.00
C 3.8542 -2.9400 -0.0625 0.04 0.04 -0.07
>>>
- PAX E800 and A920
- PAX S300
- PAX E800
- PAX A920
- PAX Q series payment terminals
- Items
- Departments
- Employees
- Employees profiles
- Discounts
- Customers
- Suppliers
- Inventory
User can set size and number of buttons per page, text and color, unlimited sub-menu layers. Updated menus are (almost) immediately available at the POS.
This is a basic Android app with all the pieces you need to build you own POS application (assuming you have an Android dev enviroment installed). Clone the repository, cd to pos/android and type ./gradlew tasks, then ./gradlew assemble or .gradlew installDebug. Or import into android studio and build. How you get the resulting apk onto a device is up to you.
Once installed you will be prompted for android.permission.CAMERA (the integrated scanner uses the back camera). After that you are presented with a log in screen. For your convience there is a demo configuration ready to use, at the prompt type username 'multipos', password 'eklutna'. After you log in you are prompted for a location (store) and a configuration.
After download completes login in as cashier 1, PIN 1.
- Deli/convienence is set up as a counter top app in landscape mode, tested on a variety of 10 inch tablets.
- Handheld is just that, a handheld version with three tabs, a POS tab (line busting), an inventory tab, walk around the store scan an item and update inventory and an item entry tab to add/edit items in the store. This configuration also includes an android cammera scanner... more
- The generic configuration demonstrates an alternate layout and has no attached hardware
Go to and log in using the same credentials that you used for the POS, i.e. 'multipos' and 'eklutna'. In a production environment each customer would have a dedicated server side database.
- Sales summary, a summary of the current weeks sales
- Item history, sales by itm
- Hourly sales, net sales by day/hour
- Transactions, indidvidual transaction detail
- Store Ops, maintenance for items, departments, etc.
- POS menus, edit configurations and menus
- Account, store location information